# Assignment
Set down the entries underneath with every line break kept, please.

# File
(1)
{
  "formula": "HIS2",
  "method": "ωB97M-V with the def2-TZVPD basis set",
  "relative_energy_kj_mol": 40.6,
  "total_energy_ha": -1094.58712,
  "gap_ha": [0.2656, 0.2277],
  "e_lumo_ev": [0.186, -3.280],
  "total_charge": 0,
  "multiplicity": 3,
  "largest_force_ev_per_a": 2.276,
  "homo_energy_ev": [-7.04, -9.47],
  "species": ["S", "S", "I", "H"],
  "positions_angstrom": [[-1.037, -0.341, -0.717], [0.459, -0.900, 0.597], [2.263, 0.681, 0.001], [-1.684, 0.560, 0.119]],
  "atomic_forces_ev_per_a": [[-0.5, 0.5, 0.7], [-1.8, -1.2, 0.3], [1.8, 1.4, -0.4], [0.5, -0.7, -0.6]]
}



(2)
{
  "formula": "HN2O3S",
  "method": "ωB97M-V with the def2-TZVPD basis set",
  "relative_energy_kj_mol": 412.7,
  "total_energy_ha": -733.95894,
  "gap_ha": 0.3161,
  "smiles": "N=[S@@](=O)([O-])N=O",
  "e_lumo_ev": 3.978,
  "total_charge": -1,
  "largest_force_ev_per_a": 4.484,
  "homo_energy_ev": -4.62,
  "species": ["N", "S", "O", "O", "N", "O", "H"],
  "positions_angstrom": [[-0.054, 0.324, -0.463], [-1.462, 0.666, 0.059], [-1.755, 0.430, 1.479], [-1.835, 1.939, -0.604], [-2.753, -0.606, -0.141], [-2.170, -1.694, -0.385], [0.052, -0.550, -0.085]],
  "atomic_forces_ev_per_a": [[-1.4, 1.6, -0.7], [0.1, 2.5, -1.2], [0.5, 0.9, 0.5], [-0.7, -1.5, 1.5], [2.4, -3.2, -1.9], [-2.2, 2.8, 0.7], [1.3, -3.1, 1.2]]
}



(3)
{
  "formula": "HN2O5S2",
  "method": "ωB97M-V with the def2-TZVPD basis set",
  "relative_energy_kj_mol": 19.7,
  "total_energy_ha": -1282.59210,
  "gap_ha": [0.2855, 0.2855],
  "e_lumo_ev": [1.578, 1.578],
  "total_charge": -1,
  "largest_force_ev_per_a": 6.617,
  "homo_energy_ev": [-6.19, -6.19],
  "species": ["N", "N", "O", "O", "O", "O", "O", "S", "S", "H"],
  "positions_angstrom": [[0.150, -1.008, 0.676], [-0.627, -2.018, 0.754], [-1.391, -1.983, 1.756], [1.845, 2.204, -0.250], [-0.664, -2.884, -0.037], [-0.382, 1.559, 0.351], [0.110, 2.608, -1.938], [0.785, -0.247, -1.392], [0.568, 1.828, -0.790], [-0.394, -0.059, 0.868]],
  "atomic_forces_ev_per_a": [[2.3, 5.7, -2.6], [-3.8, 0.0, 2.5], [0.6, -0.1, -0.2], [0.6, 0.2, -0.5], [0.7, -2.6, -2.4], [0.3, 0.9, -2.0], [0.1, -1.2, 1.0], [-1.0, -1.1, 2.2], [-1.1, -0.2, 2.1], [1.3, -1.6, -0.2]]
}



(4)
{
  "formula": "HN3O4",
  "method": "ωB97M-V with the def2-TZVPD basis set",
  "relative_energy_kj_mol": 105.2,
  "total_energy_ha": -465.60014,
  "gap_ha": 0.4109,
  "smiles": "O=[N+]([O-])O.N#[N+][O-]",
  "e_lumo_ev": -0.019,
  "total_charge": 0,
  "largest_force_ev_per_a": 3.036,
  "homo_energy_ev": -11.20,
  "species": ["O", "N", "O", "O", "H", "N", "N", "O"],
  "positions_angstrom": [[-0.691, -1.805, 1.665], [-0.552, -1.186, 0.662], [-0.172, -1.559, -0.409], [-0.648, 0.196, 0.814], [0.009, 0.760, 0.418], [1.750, -0.954, -0.886], [2.268, -1.835, -1.287], [2.764, -2.775, -1.748]],
  "atomic_forces_ev_per_a": [[-0.8, -0.1, 0.4], [2.4, 0.7, -0.5], [-2.8, -0.8, 0.0], [-2.3, 0.1, 1.8], [1.1, -0.6, -1.2], [1.2, 2.7, 0.6], [0.2, -0.1, -0.4], [1.0, -2.0, -0.8]]
}



(5)
{
  "formula": "HN4P",
  "method": "ωB97M-V with the def2-TZVPD basis set",
  "relative_energy_kj_mol": 119.4,
  "total_energy_ha": -560.82219,
  "gap_ha": 0.3304,
  "e_lumo_ev": -0.792,
  "total_charge": 0,
  "largest_force_ev_per_a": 3.166,
  "homo_energy_ev": -9.78,
  "species": ["N", "N", "N", "N", "P", "H"],
  "positions_angstrom": [[-0.294, 0.801, 1.103], [0.565, -0.041, 1.368], [-0.656, 0.652, -0.193], [1.219, -0.911, 1.021], [-0.016, -0.463, -1.121], [-0.818, -0.038, -2.179]],
  "atomic_forces_ev_per_a": [[-1.8, 2.4, 0.9], [2.0, -2.4, -0.6], [-0.7, 0.6, -0.2], [0.3, 0.0, 0.8], [0.4, -0.6, -0.3], [-0.2, 0.0, -0.5]]
}



(6)
{
  "formula": "HN5",
  "method": "ωB97M-V with the def2-TZVPD basis set",
  "relative_energy_kj_mol": 252.2,
  "total_energy_ha": -274.20983,
  "gap_ha": 0.3546,
  "e_lumo_ev": 0.298,
  "total_charge": 0,
  "largest_force_ev_per_a": 4.170,
  "homo_energy_ev": -9.35,
  "species": ["N", "N", "N", "N", "N", "H"],

# Written answer
(1)
{
  "formula": "HIS2",
  "method": "ωB97M-V with the def2-TZVPD basis set",
  "relative_energy_kj_mol": 40.6,
  "total_energy_ha": -1094.58712,
  "gap_ha": [0.2656, 0.2277],
  "e_lumo_ev": [0.186, -3.280],
  "total_charge": 0,
  "multiplicity": 3,
  "largest_force_ev_per_a": 2.276,
  "homo_energy_ev": [-7.04, -9.47],
  "species": ["S", "S", "I", "H"],
  "positions_angstrom": [[-1.037, -0.341, -0.717], [0.459, -0.900, 0.597], [2.263, 0.681, 0.001], [-1.684, 0.560, 0.119]],
  "atomic_forces_ev_per_a": [[-0.5, 0.5, 0.7], [-1.8, -1.2, 0.3], [1.8, 1.4, -0.4], [0.5, -0.7, -0.6]]
}



(2)
{
  "formula": "HN2O3S",
  "method": "ωB97M-V with the def2-TZVPD basis set",
  "relative_energy_kj_mol": 412.7,
  "total_energy_ha": -733.95894,
  "gap_ha": 0.3161,
  "smiles": "N=[S@@](=O)([O-])N=O",
  "e_lumo_ev": 3.978,
  "total_charge": -1,
  "largest_force_ev_per_a": 4.484,
  "homo_energy_ev": -4.62,
  "species": ["N", "S", "O", "O", "N", "O", "H"],
  "positions_angstrom": [[-0.054, 0.324, -0.463], [-1.462, 0.666, 0.059], [-1.755, 0.430, 1.479], [-1.835, 1.939, -0.604], [-2.753, -0.606, -0.141], [-2.170, -1.694, -0.385], [0.052, -0.550, -0.085]],
  "atomic_forces_ev_per_a": [[-1.4, 1.6, -0.7], [0.1, 2.5, -1.2], [0.5, 0.9, 0.5], [-0.7, -1.5, 1.5], [2.4, -3.2, -1.9], [-2.2, 2.8, 0.7], [1.3, -3.1, 1.2]]
}



(3)
{
  "formula": "HN2O5S2",
  "method": "ωB97M-V with the def2-TZVPD basis set",
  "relative_energy_kj_mol": 19.7,
  "total_energy_ha": -1282.59210,
  "gap_ha": [0.2855, 0.2855],
  "e_lumo_ev": [1.578, 1.578],
  "total_charge": -1,
  "largest_force_ev_per_a": 6.617,
  "homo_energy_ev": [-6.19, -6.19],
  "species": ["N", "N", "O", "O", "O", "O", "O", "S", "S", "H"],
  "positions_angstrom": [[0.150, -1.008, 0.676], [-0.627, -2.018, 0.754], [-1.391, -1.983, 1.756], [1.845, 2.204, -0.250], [-0.664, -2.884, -0.037], [-0.382, 1.559, 0.351], [0.110, 2.608, -1.938], [0.785, -0.247, -1.392], [0.568, 1.828, -0.790], [-0.394, -0.059, 0.868]],
  "atomic_forces_ev_per_a": [[2.3, 5.7, -2.6], [-3.8, 0.0, 2.5], [0.6, -0.1, -0.2], [0.6, 0.2, -0.5], [0.7, -2.6, -2.4], [0.3, 0.9, -2.0], [0.1, -1.2, 1.0], [-1.0, -1.1, 2.2], [-1.1, -0.2, 2.1], [1.3, -1.6, -0.2]]
}



(4)
{
  "formula": "HN3O4",
  "method": "ωB97M-V with the def2-TZVPD basis set",
  "relative_energy_kj_mol": 105.2,
  "total_energy_ha": -465.60014,
  "gap_ha": 0.4109,
  "smiles": "O=[N+]([O-])O.N#[N+][O-]",
  "e_lumo_ev": -0.019,
  "total_charge": 0,
  "largest_force_ev_per_a": 3.036,
  "homo_energy_ev": -11.20,
  "species": ["O", "N", "O", "O", "H", "N", "N", "O"],
  "positions_angstrom": [[-0.691, -1.805, 1.665], [-0.552, -1.186, 0.662], [-0.172, -1.559, -0.409], [-0.648, 0.196, 0.814], [0.009, 0.760, 0.418], [1.750, -0.954, -0.886], [2.268, -1.835, -1.287], [2.764, -2.775, -1.748]],
  "atomic_forces_ev_per_a": [[-0.8, -0.1, 0.4], [2.4, 0.7, -0.5], [-2.8, -0.8, 0.0], [-2.3, 0.1, 1.8], [1.1, -0.6, -1.2], [1.2, 2.7, 0.6], [0.2, -0.1, -0.4], [1.0, -2.0, -0.8]]
}



(5)
{
  "formula": "HN4P",
  "method": "ωB97M-V with the def2-TZVPD basis set",
  "relative_energy_kj_mol": 119.4,
  "total_energy_ha": -560.82219,
  "gap_ha": 0.3304,
  "e_lumo_ev": -0.792,
  "total_charge": 0,
  "largest_force_ev_per_a": 3.166,
  "homo_energy_ev": -9.78,
  "species": ["N", "N", "N", "N", "P", "H"],
  "positions_angstrom": [[-0.294, 0.801, 1.103], [0.565, -0.041, 1.368], [-0.656, 0.652, -0.193], [1.219, -0.911, 1.021], [-0.016, -0.463, -1.121], [-0.818, -0.038, -2.179]],
  "atomic_forces_ev_per_a": [[-1.8, 2.4, 0.9], [2.0, -2.4, -0.6], [-0.7, 0.6, -0.2], [0.3, 0.0, 0.8], [0.4, -0.6, -0.3], [-0.2, 0.0, -0.5]]
}



(6)
{
  "formula": "HN5",
  "method": "ωB97M-V with the def2-TZVPD basis set",
  "relative_energy_kj_mol": 252.2,
  "total_energy_ha": -274.20983,
  "gap_ha": 0.3546,
  "e_lumo_ev": 0.298,
  "total_charge": 0,
  "largest_force_ev_per_a": 4.170,
  "homo_energy_ev": -9.35,
  "species": ["N", "N", "N", "N", "N", "H"],